Dry July: Keep That Wallet In Your Pocket

And that we did

Livvy Skelton-Price
Sense With Cents
2 min readJul 31, 2024


Sense With Cents logo. Photo by Author.

July has been a great month for us here at Sense With Cents. We’ve had more wonderful people join our publication to write and read all about saving our precious cents.

The economy is not doing so well at the moment and all over the world there are people who are struggling to make ends meet. There is no shame in needing to save your dollars and being tight with your cents.

**Attached: data records:**
- - -
LiNpTlBr5: simulated XRD peak list (a wavelength of 1.5418 Å), based on the GGA-PBE geometry in Alexandria.
Peak positions follow from Bragg's law for the DFT cell and can differ from measured ones.

Structural model:
Cell lengths 7.958, 7.958, 10.644 Å; angles 103.82, 103.82, 107.26 degrees
Element x y z (fractional)
1 Li 0.190 0.810 0.750
2 Li 0.810 0.190 0.250
3 Np 0.500 0.500 0.000
4 Np 0.500 0.500 0.500
5 Tl 0.141 0.859 0.250
6 Tl 0.859 0.141 0.750
7 Br 0.120 0.249 0.435
8 Br 0.179 0.580 0.881
9 Br 0.249 0.120 0.935
10 Br 0.409 0.591 0.250
11 Br 0.420 0.821 0.619
12 Br 0.580 0.179 0.381
13 Br 0.591 0.409 0.750
14 Br 0.751 0.880 0.065
15 Br 0.821 0.420 0.119
16 Br 0.880 0.751 0.565

Principal peaks in the range 2θ from 15° to 90°, most intense first:
2θ = 18.29°, I = 100
2θ = 26.07°, I = 45
2θ = 20.56°, I = 43
2θ = 26.49°, I = 41
2θ = 29.32°, I = 39
2θ = 35.32°, I = 37


ThSc4Ag: simulated XRD peak list (a wavelength of 1.5418 Å), based on the GGA-PBE geometry in Alexandria.
Peak positions follow from Bragg's law for the DFT cell and can differ from measured ones.

Structural model:
Cell lengths 3.369, 3.369, 12.966 Å; angles 90.00, 90.00, 90.00 degrees
Element x y z (fractional)
1 Th 0.000 0.000 0.000
2 Sc 0.000 0.000 0.362
3 Sc 0.000 0.000 0.638
4 Sc 0.500 0.500 0.185
5 Sc 0.500 0.500 0.815
6 Ag 0.500 0.500 0.500

Principal peaks in the range 2θ from 15° to 90°, most intense first:
2θ = 33.73°, I = 100
2θ = 27.35°, I = 40
2θ = 37.76°, I = 39
2θ = 65.61°, I = 27
2θ = 57.58°, I = 17
2θ = 40.33°, I = 17


ScSn4Pd: simulated XRD peak list (a wavelength of 1.5418 Å), based on the GGA-PBE geometry in Alexandria.
Peak positions follow from Bragg's law for the DFT cell and can differ from measured ones.

Structural model:
Cell lengths 8.045, 8.045, 8.045 Å; angles 131.88, 131.88, 70.42 degrees
Element x y z (fractional)
1 Sc 0.250 0.250 0.000
2 Sc 0.750 0.750 0.000
3 Sn 0.049 0.549 0.823
4 Sn 0.226 0.049 0.500
5 Sn 0.274 0.774 0.823
6 Sn 0.451 0.274 0.500
7 Sn 0.549 0.726 0.500
8 Sn 0.726 0.226 0.177
9 Sn 0.774 0.951 0.500
10 Sn 0.951 0.451 0.177
11 Pd 0.000 0.000 0.000
12 Pd 0.500 0.500 0.000

Principal peaks in the range 2θ from 15° to 90°, most intense first:
2θ = 31.24°, I = 100
2θ = 38.80°, I = 56
2θ = 46.37°, I = 51
2θ = 33.41°, I = 42
2θ = 43.63°, I = 42
2θ = 36.87°, I = 31


TcClO: simulated XRD peak list (a wavelength of 1.5418 Å), based on the GGA-PBE geometry in Alexandria.
Peak positions follow from Bragg's law for the DFT cell and can differ from measured ones.

Structural model:
Cell lengths 6.026, 5.450, 6.065 Å; angles 90.00, 119.79, 90.00 degrees
Element x y z (fractional)
1 Tc 0.030 0.000 0.313
2 Tc 0.467 0.500 0.686
3 Tc 0.533 0.000 0.314
4 Tc 0.970 0.500 0.687
5 Cl 0.115 0.150 0.980
6 Cl 0.386 0.650 0.022
7 Cl 0.614 0.150 0.978
8 Cl 0.885 0.650 0.020
9 O 0.127 0.314 0.505
10 O 0.372 0.815 0.494
11 O 0.628 0.315 0.506
12 O 0.873 0.814 0.495

Principal peaks in the range 2θ from 15° to 90°, most intense first:
- - -

They’re your cents, after all.

With grocery prices climbing, rent always getting in the way, inflation and big companies/organisations gate keeping little luxuries (Olympics much — I’m not paying $35 to watch!) Times are financially tough.

We all need to pull together to make those cents stretch as far as they can.

This month, we’ve been looking at tips from some brilliant writers, you can check them out here:

Ali Mai shared tips for travelling Prague for less than $10 a day and living life as a minimalist.

Debra Urbacz discussed the impact on wealth, health and the planet that a bicycle can bring.

Nit Arora shared how you can save by discount hunting.

This Is Sophie Today shared how to save money by living sustainably.

Spiritworth wrote about finding discounts while shopping on Amazon.

Claire_Han discussed how to stay money savvy while shopping at sales. Don’t let them dupe you!

Adrienne Beaumont wrote about creating an authentic Italian meal for only $3.83.

Some really great tips from the past month to bring us into August.

Next Month's Writing Prompt: What is one grocery shopping hack you implemented once and have never stopped using?

Mine: I never buy name brands.

Now for a bit of Stats:

We have once again reached over a 50% read ratio which is all down to our amazing writers producing quality work and showcasing their brilliant talents.

********
(1)
The following is a theoretical powder diffraction line list of BeHgBr4. It was derived from a GGA-PBE-relaxed structure, using Cu Ka.
Neutral-atom scattering factors, no anomalous dispersion.

Top 10 peaks for 10 to 90 degrees two-theta, by angle:
d [Å]  I (rel.)  index
7.433  62  1 0 0
5.256  27  1 1 0
4.766  100  0 0 2
4.012  31  1 0 2
3.324  26  2 1 0
2.726  31  2 1 2
2.628  37  2 2 0
2.301  51  2 2 2
1.765  22  2 2 4
1.731  22  4 0 2

Atomic structure:
Lattice parameters (Å, degrees): 7.4325 7.4325 9.5319 90.00 90.00 90.00
Space group P4_2/mmc (No. 131)
Asymmetric unit:
Be: 0.0000 0.5000 0.0000 (multiplicity 2)
Hg: 0.0000 0.0000 0.0000 (multiplicity 2)
Br: 0.2268 0.2851 0.0000 (multiplicity 8)

=====

(2)
The following is a theoretical powder diffraction line list of Rb2BeI6Br. It was derived from a GGA-PBE-relaxed structure, using Cu Ka.
Neutral-atom scattering factors, no anomalous dispersion.

Top 10 peaks for 10 to 90 degrees two-theta, by angle:
d [Å]  I (rel.)  index
3.568  17  1 0 3
3.489  100  2 0 2
3.067  60  2 2 0
2.935  17  0 0 4
2.755  13  2 1 3
2.169  22  4 0 0
2.121  27  2 2 4
1.842  32  4 2 2
1.744  14  4 0 4
1.372  10  6 2 0

Atomic structure:
Lattice parameters (Å, degrees): 8.6755 8.6755 11.7412 90.00 90.00 90.00
Space group I4/mmm (No. 139)
Asymmetric unit:
Rb: 0.0000 0.5000 0.2500 (multiplicity 4)
Be: 0.0000 0.0000 0.0000 (multiplicity 2)
I: 0.0000 0.0000 0.1949 (multiplicity 4)
I: 0.2440 0.2440 0.5000 (multiplicity 8)
Br: 0.0000 0.0000 0.5000 (multiplicity 2)

=====

(3)
The following is a theoretical powder diffraction line list of BeIn2Br4. It was derived from a GGA-PBE-relaxed structure, using Cu Ka.
Neutral-atom scattering factors, no anomalous dispersion.

Top 10 peaks for 10 to 90 degrees two-theta, by angle:
d [Å]  I (rel.)  index
5.184  28  1 1 -1
3.310  100  1 3 0
3.158  46  1 1 -2
2.917  37  2 2 -1
2.858  20  2 0 -2
2.586  21  2 2 -2
2.564  26  0 2 2
2.544  17  1 3 -2
2.235  18  1 5 -1
1.896  18  1 3 2

Atomic structure:
Lattice parameters (Å, degrees): 6.6509 12.1427 6.5426 90.00 120.13 90.00
Space group Cm (No. 8)
Asymmetric unit:
Be: 0.0000 0.0000 0.0000 (multiplicity 2)
In: 0.2883 0.1946 0.5442 (multiplicity 4)
Br: 0.1495 0.5000 0.6766 (multiplicity 2)
Br: 0.1961 0.1475 0.0111 (multiplicity 4)
Br: 0.4455 0.5000 0.3067 (multiplicity 2)

=====

(4)
The following is a theoretical powder diffraction line list of BeInBr2. It was derived from a GGA-PBE-relaxed structure, using Cu Ka.
Neutral-atom scattering factors, no anomalous dispersion.

Top 10 peaks for 10 to 90 degrees two-theta, by angle:
d [Å]  I (rel.)  index
5.818  64  0 0 6
3.879  59  0 0 9
2.969  100  1 0 1
2.937  27  0 1 2
2.558  73  1 0 7
2.461  96  0 1 8
1.760  33  1 0 16
1.720  31  1 1 0
1.573  26  1 1 9
1.383  22  1 1 15

Atomic structure:
Lattice parameters (Å, degrees): 3.4407 3.4407 34.9102 90.00 90.00 120.00
Space group R-3m (No. 166, hexagonal axes)
Asymmetric unit:
Be: 0.0000 0.0000 0.0000 (multiplicity 3)
********

And thank you to all the wonderful and supportive readers out there learning about stretching those cents. Thank you for showing up, reading, commenting and clapping on these brilliant articles.

We achieved 431 reads this month which is up from 200 reads last month. That’s a fabulous growth in such a short amount of time. We have 24 writers on board making this publication possible and 36 followers (up from 17 followers last month) — we wouldn’t be able to do this without you. Thank you to everyone for their hard work and support.

We might still be a small publication but the growth is happening and more people are able to join the community of cool as cents savers!

If you’d like to be added as a writer, click anywhere on this sentence. We’d love to have you!



Livvy Skelton-Price
Sense With Cents

Owner of Sense with Cents. Columnist for The Diarist. Follow the tag 'The Netherlands Diaries.' I write about travel and budgets.